Kiran Bedi shares amazing result of police beat system in Puducherry

Puducherry police beat Officer.

First female Indian Police Service officer, Ramon Magsaysay Award winner and an administrator Dr. Kiran Bedi finds Puducherry Police’s Beat System as one of the finest beat system in country. One of the most experienced police officer of India, 70 year old Mrs Bedi has shared her feedback , to Rakshak News , about this system. She is Lieutenant Governor of Puducherry. We are sharing the same in her words :

Perhaps it may be not far to say that the Police Beat officers and the Beat System in Puducherry is probably well nourished and trained to none other in the country.
They are very humane and helpful. It’s been seen now over the years in all regions including far away Yanam. These police beat officers have been daily visiting senior citizens to ask if they need any specific assistance.

Kiran Bedi

Each Beat Police officer attends daily morning roll calls from their respective SHOs and shares relevant information about his/her beat. They are now recording in their own hand writing in the daily diary of Police stations their return reports. And not delegate the police station WRITER. (as is normally the practice) This has been done away by an order of Police Headquarters.

They are reporting to toll free number 100 or 112 or 1031 any glaring or even minor deficiencies they observe on matters of public concern.The control room receiving information connects with the concerned dept or agency to get the matter addressed immed. And the time taken for the response too is recorded and shared amongst all Secretaries and HODs. The list is compiled by the Chief Grievances Officer of Raj Niwas Dr Baskaran. The morning meeting of Team Raj Niwas daily examines and reviews the pattern of reports which come from the ground level. And ensures and over sees their follow up action.

The police beat system has by now substantially reduced number of drop outs from schools. Also the reoccurrence of crimes by past arrested persons. Besides women feeling securer too. Beat police officers are calling on the sureties of past accused and exhorting them to ensure control over their arrested /accused they had assured the courts for good behaviour.

What comes next are quantum chemistry results, not part of the entry:
........
1.
The following is a quantum chemistry calculation of a molecular structure, C29H60BI2N6O8, from OMol25.

Strongest force on any atom   0.0137 hartree/bohr
Total charge   -1
Electronic energy   -2691.75357 Ha

Geometry as XYZ:
```
106
Properties=species:S:1:pos:R:3:forces:R:3:mulliken_charge:R:1
C 5.057904 -2.334596 5.039946 0.0 0.1 -0.4 -1.1134
C 3.717034 -2.721226 4.390680 0.0 -0.1 0.1 -0.4574
O 3.131246 -1.663654 3.675364 0.2 0.1 0.2 -0.1589
C 3.757056 -1.385771 2.436180 0.0 0.0 -0.3 -0.6079
C 3.747597 0.107701 2.143900 0.0 0.0 -0.1 -0.8330
C 2.390459 0.777393 2.380900 0.0 -0.2 -0.2 -0.3527
C 1.428622 0.556797 1.194476 -0.3 0.3 0.3 -0.6010
C -0.057862 0.487174 1.582506 0.1 -0.1 0.1 -0.7234
B -0.540739 -0.911941 2.245410 0.3 -0.2 -0.2 0.2987
C -0.446495 -2.186865 1.170096 -0.1 -0.1 -0.1 0.0720
I 0.699555 -3.834183 1.835328 -0.1 0.1 0.0 -0.1403
C -1.047525 -2.226061 -0.014643 0.1 0.1 0.1 0.2404
C -1.867041 -1.089930 -0.585363 -0.2 -0.3 -0.3 -1.1271
I -0.969246 -3.889641 -1.352894 0.0 0.0 0.0 -0.0697
N -2.073814 -0.818630 2.699942 0.2 0.0 0.7 0.1119
C -2.556053 -2.094240 3.145947 -0.2 0.0 -0.4 0.5334
C -3.618189 -2.739247 2.281342 0.1 0.0 0.0 -1.3599
O -2.177288 -2.638784 4.154518 -0.1 0.1 0.2 -0.5681
C -2.367441 0.124494 3.720654 0.0 0.0 -0.2 0.5008
C -1.322938 0.462948 4.746283 0.2 0.2 0.1 -0.9448
O -3.482333 0.608997 3.793864 -0.1 -0.1 0.1 -0.6177
H 5.137689 -2.717308 6.056369 0.0 0.0 0.0 0.3416
H 5.905991 -2.696216 4.455414 0.0 0.0 0.1 0.3397
H 5.125853 -1.245754 5.055523 0.0 0.0 0.2 0.2747
H 2.995955 -2.999400 5.159925 -0.1 0.1 0.0 0.3189
H 3.843155 -3.592696 3.734777 0.0 0.0 0.0 0.3381
H 4.787289 -1.765241 2.437228 0.0 0.1 0.0 0.5114
H 3.229859 -1.915415 1.631910 -0.1 -0.1 0.1 0.1387
H 4.556027 0.605934 2.689862 -0.1 0.0 0.2 0.3852
H 3.979666 0.223580 1.078703 0.2 0.0 0.0 0.1478
H 1.930179 0.404253 3.297430 0.1 -0.1 0.0 0.3512
H 2.548736 1.845582 2.511904 -0.1 0.0 0.0 0.3862
H 1.716137 -0.332547 0.619404 0.0 -0.1 0.1 0.2400
H 1.554910 1.410776 0.532276 0.2 -0.1 -0.2 0.3035
H -0.646353 0.755985 0.700121 -0.1 0.1 0.1 0.2312
H -0.235055 1.291605 2.304783 0.0 0.1 -0.1 0.0885
H 0.181380 -1.205452 3.176655 -0.1 0.0 0.1 -0.0861
H -2.380657 -1.405573 -1.492722 0.0 0.0 0.0 0.5935
H -1.230564 -0.247203 -0.846331 0.0 0.0 0.0 0.1355
H -2.617224 -0.775283 0.139946 0.1 0.2 0.1 0.1535
H -4.526899 -2.817922 2.882474 0.0 0.0 0.0 0.4222
H -3.306091 -3.746999 2.005172 0.0 0.0 0.0 0.2497
H -3.826752 -2.144307 1.397932 0.0 0.0 0.0 0.2173
H -0.998447 -0.453870 5.241242 0.0 -0.1 -0.1 0.2751
H -0.436628 0.905957 4.295714 0.0 -0.1 0.0 0.1897
H -1.740149 1.157082 5.474406 -0.1 0.0 0.0 0.3705
C 1.460706 -0.992816 -3.630622 0.0 0.0 0.0 0.2186
O 1.959953 0.102486 -3.441870 0.0 0.0 0.0 -0.7014
N 1.099318 -1.445698 -4.850698 -0.1 0.0 0.0 0.1844
C 0.532655 -2.759315 -5.069596 0.1 0.0 0.0 -0.5826
C 1.296175 -0.584632 -6.004343 0.0 0.0 0.2 -0.6226
H 1.265703 -1.710458 -2.817250 0.0 0.0 0.0 0.2530
H 1.178944 -3.334971 -5.739931 -0.1 0.0 0.0 0.2781
........

Hence the beat system is well supervised daily briefed and also duly empowered is providing assured security on the streets of Puducherry. All women cops posted to police station also have independent beats.This is the strength of policing in Puducherry.

Worthy of emulation in other places too. The Government of India too has been asking all UTs to have such a beat system.